/*
The following is a DFT calculation (wB97M-V/def2-TZVPD) of C19H2F4N6O7Tl as an isolated structure.

LUMO level in eV: -1.9
E in eV: -58565.5618
Energy above the lowest of the compared OMol25 structures with the same formula, charge and spin in kJ/mol: 78.8
Strongest force on any atom in Eh/bohr: 0.01517

```
! RIJCOSX wB97M-V def2-TZVPD def2/J DEFGRID3
* xyz -1 1
Tl 0.78518 -0.38538 1.14863
F 0.36234 2.86260 1.64298
F 1.49192 3.76347 3.80978
F -2.00444 1.84421 6.41842
F -3.14948 0.97764 4.25330
O 2.01349 -0.16073 -0.79897
O -0.33365 -1.66287 -0.42398
O 4.78240 0.65670 -2.20752
O 4.75374 -4.53570 -4.26320
O 2.78166 -5.38022 -4.12257
O -0.91582 -2.40651 -2.46157
O 5.20270 -0.55362 -0.47867
N -0.56730 3.10955 8.76047
N -4.31433 0.17125 1.59702
N 4.62125 -0.33470 -1.52669
N 2.49797 4.82921 6.46813
N 3.58702 -4.49265 -3.89048
N -1.34622 2.13359 -0.71191
C -0.22078 2.90220 5.23279
C -2.03400 1.67524 4.13674
C -0.19831 3.20810 7.67737
C -2.09875 1.50236 1.67739
C -3.33253 0.76197 1.66764
C 3.65347 -1.34372 -1.98966
C 3.14714 -3.34276 -3.13316
C 1.55068 4.18806 6.36617
C 0.34625 3.10940 3.91178
C 1.80512 -3.19762 -2.78235
C 1.38563 -2.13947 -2.01142
C 4.08474 -2.39700 -2.73906
C -0.23882 2.65651 2.79848
C 2.31049 -1.15631 -1.55569
C -1.61490 1.82459 0.36128
C 0.34822 3.39717 6.35887
C -1.44512 2.12266 5.24942
C -1.49374 1.92305 2.80974
C -0.09283 -2.05778 -1.62288
H 1.08308 -3.92855 -3.11740
H 5.12173 -2.51300 -3.02440
*
```
*/
Your job: restate everything above exactly.
The following is a DFT calculation (wB97M-V/def2-TZVPD) of C19H2F4N6O7Tl as an isolated structure.

LUMO level in eV: -1.9
E in eV: -58565.5618
Energy above the lowest of the compared OMol25 structures with the same formula, charge and spin in kJ/mol: 78.8
Strongest force on any atom in Eh/bohr: 0.01517

```
! RIJCOSX wB97M-V def2-TZVPD def2/J DEFGRID3
* xyz -1 1
Tl 0.78518 -0.38538 1.14863
F 0.36234 2.86260 1.64298
F 1.49192 3.76347 3.80978
F -2.00444 1.84421 6.41842
F -3.14948 0.97764 4.25330
O 2.01349 -0.16073 -0.79897
O -0.33365 -1.66287 -0.42398
O 4.78240 0.65670 -2.20752
O 4.75374 -4.53570 -4.26320
O 2.78166 -5.38022 -4.12257
O -0.91582 -2.40651 -2.46157
O 5.20270 -0.55362 -0.47867
N -0.56730 3.10955 8.76047
N -4.31433 0.17125 1.59702
N 4.62125 -0.33470 -1.52669
N 2.49797 4.82921 6.46813
N 3.58702 -4.49265 -3.89048
N -1.34622 2.13359 -0.71191
C -0.22078 2.90220 5.23279
C -2.03400 1.67524 4.13674
C -0.19831 3.20810 7.67737
C -2.09875 1.50236 1.67739
C -3.33253 0.76197 1.66764
C 3.65347 -1.34372 -1.98966
C 3.14714 -3.34276 -3.13316
C 1.55068 4.18806 6.36617
C 0.34625 3.10940 3.91178
C 1.80512 -3.19762 -2.78235
C 1.38563 -2.13947 -2.01142
C 4.08474 -2.39700 -2.73906
C -0.23882 2.65651 2.79848
C 2.31049 -1.15631 -1.55569
C -1.61490 1.82459 0.36128
C 0.34822 3.39717 6.35887
C -1.44512 2.12266 5.24942
C -1.49374 1.92305 2.80974
C -0.09283 -2.05778 -1.62288
H 1.08308 -3.92855 -3.11740
H 5.12173 -2.51300 -3.02440
*
```